1 Aug 2023


URGENT: Over 2,000 Aussie animals and plants are at risk of extinction. Send a message to your local member of parliament, calling for stronger nature laws and adequate funding to protect threatened wildlife and the places they call home.

Trees are the lungs of our planet. They provide food and shelter for our wildlife and protect us from some of the worst impacts of climate change. But with more than 300,000 trees bulldozed every day in Australia alone, it’s not hard to see why the threat of climate change continues to grow. But what can we, as individuals, do to reverse this loss of nature and combat climate change? What can we do when our forests need our help? We can all start today. Here are 10 steps we can take in our journey toward securing a healthy future for people and nature.

1. Sign the petition to save our trees

WWF has a mission to take Australia from a deforestation hot spot to a leader in tree protection and restoration to benefit our health, communities, climate, wildlife, and planet. But to do this, we need your help.

Sign the petition today to email your government to demand action and save our trees and save our future.

2. Get educated

It’s not only trees we’re trying to save, it’s the diversity of life that relies on them for food and shelter. To gain a better understanding of why it’s so important we protect them, educate yourselves on why we need to save trees in Australia.

The more people who show their support for trees, the better. Raise awareness by educating friends, family and your community about the threat Australian nature is facing, and encourage them to take action too. This blog is a great place to start.

3. Plant native trees

Do you have a backyard or balcony? Why not plant some native trees? You could attract some local bees and wildlife, and your garden will look even better than it does already. Check out this article to find out which plants are native to your area.

Koala release in Emmaville NSW
Koala release in Emmaville NSW (1000px) © WWF-Aus / Adam Krowitz

4. Support local forest conservation organisations

Want to find a way of taking time out for nature that’s both fun and rewarding? Support local conservation organisations and look out for community tree planting events. These groups work tirelessly in the hopes of stemming the tide of climate change and mass extinction and rely on volunteers and donations. If you have the time and/or resources, supporting these awesome organisations is a great way to help! Check out this great organisation for starters!

(Attached: calculated molecules)
........
Entry 1:
Entry from the OMol25 dataset: a structure of composition C35H68DyN5PS4Si2 in a non-equilibrium geometry (ωB97M-V/def2-TZVPD).

The geometry in ORCA input format:
```
! RIJCOSX wB97M-V def2-TZVPD def2/J DEFGRID3
* xyz 1 6
Dy -1.069 0.819 0.471
C -5.144 1.995 1.034
C -4.410 2.703 2.149
S -2.689 3.205 1.802
C -2.974 4.611 0.625
C -3.104 4.267 -0.843
S -1.607 3.410 -1.486
C -2.244 2.991 -3.157
C -2.161 1.513 -3.483
S -2.866 0.361 -2.263
C -4.645 0.836 -2.155
C -5.236 0.080 -0.981
S -4.366 0.389 0.603
H -5.188 2.600 0.132
H -6.161 1.765 1.354
H -4.315 2.052 3.015
H -4.954 3.604 2.429
H -2.110 5.260 0.772
H -3.870 5.136 0.952
H -3.225 5.183 -1.424
H -3.959 3.618 -1.027
H -1.623 3.536 -3.870
H -3.266 3.363 -3.232
H -1.119 1.196 -3.526
H -2.632 1.327 -4.449
H -5.143 0.541 -3.079
H -4.730 1.914 -2.027
H -5.151 -0.993 -1.146
H -6.285 0.336 -0.832
C 2.568 0.447 1.852
Si 1.122 1.322 2.718
C 0.796 2.896 1.599
C 1.773 2.139 4.323
C -0.557 0.400 2.838
C -1.196 0.982 4.048
C -0.771 0.582 5.324
C -1.372 1.085 6.452
C -2.382 2.029 6.295
C -2.714 2.405 5.010
N -2.161 1.887 3.915
Si -1.043 -1.446 2.848
C 0.099 -2.763 3.637
C -2.747 -1.606 3.723
C -1.526 -2.024 1.058
H 3.352 1.157 1.602
H 2.239 -0.021 0.924
H 3.011 -0.304 2.493
H 1.659 3.557 1.634
H -0.053 3.471 1.972
H 0.639 2.644 0.534
H 2.614 2.794 4.114
H 2.104 1.408 5.050
H 1.003 2.740 4.795
H 0.027 -0.137 5.399
H -1.071 0.761 7.437
H -2.884 2.461 7.145
H -3.466 3.166 4.847
H 0.501 -2.436 4.590
H 0.938 -2.993 2.993
H -0.439 -3.690 3.816
H -3.056 -2.644 3.788
H -3.530 -1.065 3.195
H -2.709 -1.222 4.736
H -0.822 -1.687 0.284
H -2.542 -1.709 0.789
H -1.524 -3.109 1.011
N 0.387 -0.081 -0.907
P 1.476 -0.992 -1.500
N 2.831 -0.123 -2.068
C 3.949 -0.674 -2.804
C 5.258 -0.007 -2.350
C 5.012 1.476 -2.050
C 3.839 1.977 -2.885
C 2.553 1.245 -2.482
N 2.238 -2.254 -0.636
C 3.547 -2.228 -0.009
C 3.513 -2.869 1.376
C 3.147 -4.354 1.270
C 2.187 -4.586 0.095
C 1.377 -3.322 -0.165
N 0.864 -1.964 -2.768
C 1.522 -3.045 -3.459
C 1.745 -2.694 -4.931
C 0.415 -2.336 -5.585
C -0.276 -1.224 -4.797
C -0.414 -1.657 -3.336
H 3.813 -0.485 -3.878
H 4.001 -1.749 -2.655
H 6.000 -0.124 -3.142
H 5.641 -0.504 -1.461
H 5.905 2.063 -2.265
H 4.764 1.612 -0.996
H 4.059 1.802 -3.940
H 3.703 3.051 -2.752
H 1.845 1.269 -3.327
H 2.072 1.751 -1.639
H 3.888 -1.192 0.046
H 4.271 -2.790 -0.617
H 2.775 -2.351 1.989
H 4.486 -2.752 1.856
H 2.684 -4.673 2.206
H 4.046 -4.952 1.127
H 1.516 -5.418 0.313
H 2.748 -4.843 -0.805
H 0.876 -3.041 0.769
H 0.605 -3.499 -0.917
H 0.891 -3.948 -3.399
H 2.467 -3.261 -2.962
H 2.212 -3.535 -5.448
H 2.419 -1.838 -4.995
H -0.225 -3.219 -5.591
H 0.572 -2.025 -6.618
H -1.257 -1.012 -5.226
H 0.331 -0.316 -4.845
H -1.075 -2.538 -3.276
H -0.839 -0.869 -2.705
*
```

Values from the calculation:
F_max = 2.5 eV Å⁻¹
Calculated total energy = -5046.269666 hartree
Expectation value of S² = 9.297

Entry 2:
........

5. Learn about the importance of forests

Forests play a critical role in sustaining life on Earth. It might be known as the blue planet, but without the green, we simply wouldn’t be here. Educate yourself and others on the importance of forests. Here’s a fact to get you started: Did you know human health is inextricably linked to forest health? When we clear forests, it forces wildlife to leave their habitat and venture into suburban areas. The possibility of wildlife-human contact increases as the animals search for new homes, so the risk of transferring infection and disease rises. This is just one of the many reasons we need to protect trees. Learn more about the importance of forests here.

6. Reduce your plastic use

Whether you use a reusable bag for your shopping, carry around a KeepCup, or even avoid buying things with too much plastic packaging, reducing your plastic use has enormous benefits for the environment. Every action you take helps reduce the terrifying 130,000 tonnes of plastic that finds its way into Australian waterways and oceans every year. Here are some other ways to reduce your plastic use.

7. Recycle responsibly

There’s more to recycling than putting paper in one bin and plastic in another. If you really want to be a recycling superstar, don’t just throw out your old electronics, donate them to schools, sell them on a digital marketplace or drop them off at designated e-waste sites set up by your local council. You can also recycle old medication, furniture and paint. Check out this link to learn more: Recycle Responsibly

Wombat and her joey on Maria Island, Tasmania
Wombat and her joey on Maria Island, Tasmania © Lauren Simmonds

8. Keep it clean

We all know the saying ‘Take only photos, leave only footprints’. It’s a beautiful saying, making it an even more salient reminder to respect and honour the beautiful forests we’re fortunate enough to have access to. So, next time you’re exploring our beautiful forests, remember to leave no trace behind.

9. Return to nature

Spending time in forests can have beneficial effects on both your physical and mental well-being. It can also foster empathy for the environment. Plus, it’s beautiful, educational and fun. What more can you ask for!? Here are 10 of our favourite must-see nature spots around Australia to add to your next road trip.

10. Take a moment

With the continued destruction of our forests and the devastating loss of biodiversity it causes, it can sometimes feel a little overwhelming. Taking some time out in nature can encourage mindfulness, improve our well-being and allow us time to reflect on the incredible things nature provides us. And remember, nature, too, needs a break from time to time.